MScUD 2009-10: final examination works: Chris Kelly.

-- Someone pasted data records at this point --
/*
1.
Entry from the Alexandria database: a relaxed Pr6Tl2Co crystal (PBE-GGA).

Lattice parameters (Å, degrees): 7.4089 7.3847 12.6705 90.00 125.27 90.00
Space group P2_1/c (No. 14)
Unique sites:
Pr (0.1997, 0.0001, 0.2524)
Pr (0.2752, 0.2458, 0.5257)
Pr (0.2797, 0.7494, 0.0258)
Tl (0.2562, 0.5017, 0.2529)
Co (0.0000, 0.0000, 0.0000)

2.
Entry from the Alexandria database: a relaxed Pr7Tl2Co2 crystal (PBE-GGA).

Lattice parameters (Å, degrees): 3.7489 16.6845 10.4768 90.00 90.00 90.00
Space group Imm2 (No. 44)
Unique sites:
Pr (0.0000, 0.0000, 0.0000)
Pr (0.0000, 0.1352, 0.4332)
Pr (0.0000, 0.3173, 0.6271)
Pr (0.0000, 0.3484, 0.2856)
Tl (0.0000, 0.0000, 0.6706)
Tl (0.0000, 0.5000, 0.7625)
Co (0.0000, 0.2341, 0.9409)

3.
Entry from the Alexandria database: a relaxed Pr8TlCo2 crystal (PBE-GGA).

Lattice parameters (Å, degrees): 8.7163 13.9895 5.6179 90.00 104.13 90.00
Space group C2/m (No. 12)
Unique sites:
Pr (0.0000, 0.2475, 0.0000)
Pr (0.1032, 0.5000, 0.8032)
Pr (0.2077, 0.1279, 0.5609)
Tl (0.0000, 0.0000, 0.0000)
Co (0.0000, 0.2894, 0.5000)

4.
Entry from the Alexandria database: a relaxed Pr3TlCo crystal (PBE-GGA).

The energy relative to the lowest polymorph listed for this composition is 0 meV/atom.

Lattice parameters (Å, degrees): 8.8159 4.0079 9.0573 90.00 116.43 90.00
Space group P2_1/m (No. 11)
Unique sites:
Pr (0.0325, 0.2500, 0.2092)
Pr (0.3258, 0.2500, 0.8798)
Pr (0.3289, 0.7500, 0.5606)
Tl (0.3311, 0.7500, 0.1913)
Co (0.0401, 0.2500, 0.5589)

5.
Entry from the Alexandria database: a relaxed Pr3TlCo3 crystal (PBE-GGA).

Lattice parameters (Å, degrees): 10.1439 10.1439 3.8671 90.00 90.00 120.00
Space group P6_3/m (No. 176)
Unique sites:
Pr (0.0656, 0.6901, 0.2500)
Tl (0.3333, 0.6667, 0.7500)
Co (0.0237, 0.8735, 0.7500)

6.
Entry from the Alexandria database: a relaxed Pr3TlCo crystal (PBE-GGA).

The energy relative to the lowest polymorph listed for this composition is 56 meV/atom.

Lattice parameters (Å, degrees): 5.3256 5.3256 5.3256 90.00 90.00 90.00
Space group Pm-3m (No. 221)
Unique sites:
Pr (0.0000, 0.0000, 0.5000)
Tl (0.5000, 0.5000, 0.5000)
Co (0.0000, 0.0000, 0.0000)

What did we get for DOS at the Fermi energy? Answer: 1.124; 1.057; 1.259; 1.049; 1.546; 1.028 states/eV per atom, in the order shown.
What did we get for energy relative to the elements? Answer: -0.18; -0.14; -0.02; -0.16; -0.11; -0.11 eV/atom, in the order shown.
What did we get for raw total energy? Answer: -42.101; -53.899; -55.062; -24.616; -38.788; -24.336 eV per formula unit, in the order shown.

~~~~~

1.
Compound: ScPd2Se2
Source: the Alexandria database
Functional: PBE-GGA
Structure: optimized geometry

Output
E ... -5.031 eV per atom
Crystal system ... tetragonal
ΔE to the lowest computed polymorph ... 258.0 meV per atom
Formation energy (no corrections) ... -1.468 eV per formula unit

abc: 3.946 3.946 12.581
angles: 90.00 90.00 90.00
Space group I4/mmm (No. 139)
One atom of each set of equivalent atoms:
1 Sc 0.000 0.000 0.000 (multiplicity 2)
*/

This is the final examination work of student Christopher Kelly. Students were requested to summarise in a space equivalent to six A1 panels their achievements across the whole year, with a particular emphasis on the last phase, that of Masterplanning. Download panel 1 Download panel 2 Download panel 3 Download …

MScUD 2009-10: Block analysis and Local Urban Code (LUC).

Download Block Analysis, panel 1 Download Block Analysis, panel 2 Download Local Urban Code (LUC) Urban codes are rules established by urban designers to guide and control the work of all those who will animate the building process in urban areas which are subjected to the code. Form-based codes are …

MScUD 2009-10: Students’ strategy, group 4: taking Govan back to work.

Download panel 1 Download panel 2 Students: Gareth Jackson, Delia Schulz, Lindsay Pratt, Mark Feeley, Fiona Murphy, Sarah Jane Laverick, Leroy Thompson, Ross Middleton. The emerging sub-sea and renewable energy sectors have been identified as industries that could get the Clyde working again for generations to come. With large sites …

MScUD 2009-10: Students’ strategy, group 3: the asset

Download panel 1 Download panel 2 Students: Raymond Brown, Zarith Abu-Zahri, Elizabeth Smith, Gillian Black, Elyssa Wylie, Yasmin Jilaihawi, Peter Russell. Our vision for the future is to create a barrier free, regional centre populated with residents, visitors, and newcomers who feel safe, welcome, and filled with optimism, opportunity, and …

MScUD 2009-10: Students’ strategy, group 2: rediscover Govan

### Records of crystals from another source follow
<<<
BTe3Pb PBE relaxed; total energy = -0.1282 Ha/atom; relative energy among the computed polymorphs = 0.0000 eV per atom; uncorrected formation energy = 0.474 eV/atom
1.0
5.017 0.000 0.000
0.000 5.017 0.000
0.000 0.000 5.017
B Te Pb
1 3 1
Direct
0.000 0.000 0.000
0.000 0.000 0.500
0.000 0.500 0.000
0.500 0.000 0.000
0.500 0.500 0.500
>>>

Download panel 1 Download panel 2 Students: John MacLean, Roberta Bufi, Darren Baird, Laura Wallace, Christopher Kelly, Syed Zaidi, Kumtak Wong, Nornawar Nordin. The aim is: –       To exploit the outstanding historic and natural attributes , breathing new life to the town centre restoring a strong positive identity to Govan. …

MScUD 2009-10: Students’ strategy, group 1: giving back confidence, opportunity and a future

Download panel 1 Download panel 2 Students: William Ewing, Victoria Smith, David Howel, Mahanim Abdullah, Duncan MacLean, Kirsten O’Hare, Mariana Gouveia. In 25 years time, Govan will be recognised as a revitalised urban quarter within Glasgow. Our Vision: New employment achieved by a Marine Energy Centre in the long-term linked …

____________
Compound: BaGa2TeBr
Source: Alexandria
Functional: PBE
Structure: optimized geometry

Cell lengths 5.411, 7.148, 5.411 Å; angles 90.00, 90.00, 90.00 degrees
Fractional positions:
Te1 0.000 0.000 0.000
Ba1 0.500 0.500 0.500
Ga1 0.000 0.000 0.500
Br1 0.000 0.500 0.000
Ga2 0.500 0.000 0.000

Output
V = 41.9 Å³ per atom
Energy relative to the elements, uncorrected = -187 meV/atom

Compound: NaZr2FeCl
Source: Alexandria
Functional: PBE
Structure: optimized geometry

Cell lengths 4.649, 5.936, 4.649 Å; angles 90.00, 90.00, 90.00 degrees
Fractional positions:
Zr1 0.500 0.000 0.000
Fe1 0.000 0.000 0.000
Na1 0.000 0.500 0.000
Cl1 0.500 0.500 0.500
Zr2 0.000 0.000 0.500

Output
V = 25.7 Å³ per atom
Energy relative to the elements, uncorrected = 277 meV/atom


The following is a PBE-GGA calculation of a relaxed YPaMo2N6 crystal, from Alexandria via LeMat-Bulk.

a = 6.0066 Å, b = 7.1107 Å, c = 7.1107 Å
α = 82.66°, β = 77.61°, γ = 77.61°
Sites, in units of the cell vectors:
Y: 0.2500 0.9132 0.0868
Y: 0.7500 0.0868 0.9132
Pa: 0.2500 0.3172 0.6828
Pa: 0.7500 0.6828 0.3172
Mo: 0.2348 0.8013 0.6064
Mo: 0.2652 0.3936 0.1987
Mo: 0.7652 0.1987 0.3936
Mo: 0.7348 0.6064 0.8013
N: 0.1504 0.0050 0.7682
N: 0.3496 0.2318 0.9950
N: 0.8496 0.9950 0.2318
N: 0.6504 0.7682 0.0050
N: 0.3935 0.8758 0.3654
N: 0.1065 0.6346 0.1242
N: 0.6065 0.1242 0.6346
N: 0.8935 0.3654 0.8758
N: 0.9846 0.6700 0.5986
N: 0.5154 0.4014 0.3300
N: 0.0154 0.3300 0.4014
N: 0.4846 0.5986 0.6700

Values from the calculation:
Energy relative to the elements, uncorrected: -0.906 eV per atom


1.
Here is NdHfHg2 after structural relaxation from Alexandria via LeMat-Bulk. Energies are from PBE-GGA.

## Properties
Space group: P4/mmm (123)
Magnetization: 0.766 μB/f.u.
E above lowest polymorph: 0 meV per atom
Formation enthalpy at 0 K: -0.19 eV per atom

Unit cell a=3.589 b=3.589 c=7.590 alpha=90.00 beta=90.00 gamma=90.00
Fractional coordinates of all 4 atoms:
Hf1 0.500 0.500 0.000
Hg1 0.000 0.000 0.218
Hg2 0.000 0.000 0.782
Nd1 0.500 0.500 0.500



2.
Here is NdHfHg2 after structural relaxation from Alexandria via LeMat-Bulk. Energies are from PBE-GGA.

## Properties
Space group: Fm-3m (225)
Magnetization: 1.065 μB/f.u.
E above lowest polymorph: 68 meV per atom
Formation enthalpy at 0 K: -0.12 eV per atom

Unit cell a=5.190 b=5.190 c=5.194 alpha=60.03 beta=60.03 gamma=60.00
Fractional coordinates of all 4 atoms:
Nd1 0.000 0.000 0.000
Hg1 0.250 0.250 0.251
Hg2 0.750 0.750 0.749
Hf1 0.500 0.500 0.500



3.
Here is Hf4Ni2Hg after structural relaxation from Alexandria via LeMat-Bulk. Energies are from PBE-GGA.

## Properties
Space group: R-3m (166)
Magnetization: 0.000 μB/f.u.
Formation enthalpy at 0 K: 0.01 eV per atom

Unit cell a=4.352 b=4.352 c=9.065 alpha=76.11 beta=76.11 gamma=60.00
Fractional coordinates of all 7 atoms:
Ni1 0.603 0.603 0.190
Ni2 0.397 0.397 0.810
Hf1 0.701 0.701 0.897
Hf2 0.299 0.299 0.103
Hf3 0.111 0.111 0.667
Hf4 0.889 0.889 0.333
Hg1 0.500 0.500 0.500
____________
## The page goes on

MScUD 2009-10: Students’ analysis, group 6: network analysis of streets

Download panel 1 Download panel 2 Students: Ross Middleton, Peter Russell, Mariana Gouveia, Kum-Tak Wong, Leroy Thompson. From the Brief: “Scope:   “No matter how good its offering, merchandising, or customer service, every retail company still has to contend with three critical elements of success: location, location, and location” (Taneja, …